Material:
VASP calculation (GGA-PBE) on a geometry-optimized Ca2AgGe4Au3 structure.

Results
Calculated volume, A^3/atom: 21.26
Space group: P-4m2
VASP energy, eV per atom: -3.92

a = 4.3874 Å, b = 4.3874 Å, c = 11.0457 Å
α = 90.00°, β = 90.00°, γ = 90.00°
With the nearest neighbours (Å) after each atom.
Element x y z (fractional)
Ca  0.5000  0.0000  0.2592  8 Ge 3.31-3.61, 6 Au 3.38-3.45, 2 Ag 3.45
Ca  0.0000  0.5000  0.7408  8 Ge 3.31-3.61, 6 Au 3.38-3.45, 2 Ag 3.45
Ag  0.5000  0.5000  0.5000  4 Ge 2.66
Ge  0.5000  0.5000  0.0000  4 Au 2.66
Ge  0.0000  0.0000  0.0000  4 Au 2.66
Ge  0.5000  0.0000  0.6366  3 Au 2.50-2.66, 2 Ag 2.66
Ge  0.0000  0.5000  0.3634  3 Au 2.50-2.66, 2 Ag 2.66
Au  0.0000  0.0000  0.5000  4 Ge 2.66
Au  0.5000  0.0000  0.8633  5 Ge 2.50-2.66
Au  0.0000  0.5000  0.1367  5 Ge 2.50-2.66


# Hg2POs meta-GGA SCAN PBEsol geometry
# energy relative to the elements = 0.952 eV/atom
data_Hg2POs
_chemical_formula_sum 'Hg2 P1 Os1'
_symmetry_space_group_name_H-M 'P 1 2/m 1'
_symmetry_Int_Tables_number 10
_cell_length_a 3.005
_cell_length_b 5.334
_cell_length_c 4.432
_cell_angle_alpha 90.00
_cell_angle_beta 94.63
_cell_angle_gamma 90.00
loop_
_symmetry_equiv_pos_as_xyz
'x,y,z'
'-x,-y,-z'
'-x,y,-z'
'x,-y,z'
loop_
_atom_site_label
_atom_site_fract_x
_atom_site_fract_y
_atom_site_fract_z
Hg1 0.249 0.000 0.249
P1 0.500 0.500 0.500
Os1 0.000 0.500 0.000

---

# BaNi2Sn2 meta-GGA SCAN PBEsol geometry
# energy relative to the elements = -0.384 eV/atom
data_BaNi2Sn2
_chemical_formula_sum 'Ba2 Ni4 Sn4'
_symmetry_space_group_name_H-M 'I 4/m m m'
_symmetry_Int_Tables_number 139
_symmetry_space_group_name_Hall '-I 4 2'
_cell_length_a 4.525
_cell_length_b 4.525
_cell_length_c 10.984
_cell_angle_alpha 90.00
_cell_angle_beta 90.00
_cell_angle_gamma 90.00
loop_
_atom_site_label
_atom_site_fract_x
_atom_site_fract_y
_atom_site_fract_z
Ba1 0.000 0.000 0.000
Ni1 0.000 0.500 0.250
Sn1 0.000 0.000 0.351

---

# ReNiIr2 meta-GGA SCAN PBEsol geometry
# energy relative to the elements = -0.068 eV/atom
# excess energy over the best structure of this formula in the dataset = 89.3 meV/atom
data_ReNiIr2
_chemical_formula_sum 'Re3 Ni3 Ir6'
_symmetry_space_group_name_H-M 'R -3 m'
_symmetry_Int_Tables_number 166
_symmetry_space_group_name_Hall '-R 3 2"'
_cell_length_a 2.6943
_cell_length_b 2.6943
_cell_length_c 25.6892
_cell_angle_alpha 90.00
_cell_angle_beta 90.00
_cell_angle_gamma 120.00
loop_
_atom_site_label
_atom_site_fract_x
_atom_site_fract_y
_atom_site_fract_z
Re1 0.0000 0.0000 0.0000
Ni1 0.0000 0.0000 0.5000
Ir1 0.0000 0.0000 0.2481


1.
# SrTaCl2

A geometry-optimized SrTaCl2 structure (GGA-PBE, the Alexandria database).

Cell: 5.365 5.365 5.365 Å, 60.00 60.00 60.00°
Sites, in units of the cell vectors:
Sr: 0.000 0.000 0.000
Ta: 0.750 0.750 0.750
Cl: 0.250 0.250 0.250
Cl: 0.500 0.500 0.500

## Properties
volume = 27.3 A^3/atom
total magnetization = 4.9 μB/cell
E_form (uncorrected) = 355 meV per atom


2.
# SrTaCl3

A geometry-optimized SrTaCl3 structure (GGA-PBE, the Alexandria database).

Cell: 5.604 5.604 5.604 Å, 90.00 90.00 90.00°
Sites, in units of the cell vectors:
Sr: 0.000 0.000 0.000
Ta: 0.500 0.500 0.500
Cl: 0.000 0.000 0.500
Cl: 0.000 0.500 0.000
Cl: 0.500 0.000 0.000

## Properties
volume = 35.2 A^3/atom
total magnetization = 4.0 μB/cell
E_form (uncorrected) = -240 meV per atom


3.
# SrTaCl2

A geometry-optimized SrTaCl2 structure (GGA-PBE, the Alexandria database).

Cell: 4.519 4.519 6.184 Å, 101.67 101.67 43.28°
Sites, in units of the cell vectors:
Sr: 0.000 0.000 0.000
Ta: 0.500 0.500 0.500
Cl: 0.237 0.237 0.698
Cl: 0.763 0.763 0.302

## Properties
volume = 21.1 A^3/atom
total magnetization = 0.0 μB/cell
E_form (uncorrected) = -350 meV per atom


4.
# SrTaCl2

A geometry-optimized SrTaCl2 structure (GGA-PBE, the Alexandria database).

Cell: 3.187 4.606 6.567 Å, 90.00 90.00 90.00°
Sites, in units of the cell vectors:
Sr: 0.000 0.000 0.000
Ta: 0.500 0.000 0.500
Cl: 0.000 0.500 0.500
Cl: 0.500 0.500 0.000

## Properties

Exercise:
Your job: transcribe the lines further up from the one with "0.6366" to the one with "'-x,-y,-z'" character by character.

Worked solution:
Ge  0.5000  0.0000  0.6366  3 Au 2.50-2.66, 2 Ag 2.66
Ge  0.0000  0.5000  0.3634  3 Au 2.50-2.66, 2 Ag 2.66
Au  0.0000  0.0000  0.5000  4 Ge 2.66
Au  0.5000  0.0000  0.8633  5 Ge 2.50-2.66
Au  0.0000  0.5000  0.1367  5 Ge 2.50-2.66


# Hg2POs meta-GGA SCAN PBEsol geometry
# energy relative to the elements = 0.952 eV/atom
data_Hg2POs
_chemical_formula_sum 'Hg2 P1 Os1'
_symmetry_space_group_name_H-M 'P 1 2/m 1'
_symmetry_Int_Tables_number 10
_cell_length_a 3.005
_cell_length_b 5.334
_cell_length_c 4.432
_cell_angle_alpha 90.00
_cell_angle_beta 94.63
_cell_angle_gamma 90.00
loop_
_symmetry_equiv_pos_as_xyz
'x,y,z'
'-x,-y,-z'